**Excerpt:**
+++
# Zn2Co4P4O23 (PBE+U, optimized geometry)
data_Zn2Co4P4O23
_cell_length_a 7.9568
_cell_length_b 12.7058
_cell_length_c 17.6384
_cell_angle_alpha 90.00
_cell_angle_beta 102.28
_cell_angle_gamma 90.00
_symmetry_space_group_name_H-M 'P 1'
_symmetry_Int_Tables_number 1
loop_
_symmetry_equiv_pos_as_xyz
'x,y,z'
loop_
_atom_site_label
_atom_site_type_symbol
_atom_site_fract_x
_atom_site_fract_y
_atom_site_fract_z
Zn1 Zn 0.2304 0.2176 0.0444
Zn2 Zn 0.2304 0.2824 0.5444
Zn3 Zn 0.2509 0.0213 0.9475
Zn4 Zn 0.2509 0.4787 0.4475
Zn5 Zn 0.7491 0.5213 0.5525
Zn6 Zn 0.7491 0.9787 0.0525
Zn7 Zn 0.7696 0.7176 0.4556
Zn8 Zn 0.7696 0.7824 0.9556
Co1 Co 0.1880 0.5491 0.7401
Co2 Co 0.1880 0.9509 0.2401
Co3 Co 0.1888 0.0420 0.7537
Co4 Co 0.1888 0.4580 0.2537
Co5 Co 0.3066 0.7194 0.2535
Co6 Co 0.3066 0.7806 0.7535
Co7 Co 0.3146 0.2128 0.2492
Co8 Co 0.3146 0.2872 0.7492
Co9 Co 0.6854 0.7128 0.2508
Co10 Co 0.6854 0.7872 0.7508
Co11 Co 0.6934 0.2194 0.2465
Co12 Co 0.6934 0.2806 0.7465
Co13 Co 0.8112 0.5420 0.7463
Co14 Co 0.8112 0.9580 0.2463
Co15 Co 0.8120 0.0491 0.7599
Co16 Co 0.8120 0.4509 0.2599
P1 P 0.0548 0.6364 0.3657
P2 P 0.0548 0.8636 0.8657
P3 P 0.0598 0.2284 0.8618
P4 P 0.0598 0.2716 0.3618
P5 P 0.4447 0.0410 0.1343
P6 P 0.4447 0.4590 0.6343
P7 P 0.4463 0.1048 0.6438
P8 P 0.4463 0.3952 0.1438
P9 P 0.5537 0.6048 0.8562
P10 P 0.5537 0.8952 0.3562
P11 P 0.5553 0.5410 0.3657
P12 P 0.5553 0.9590 0.8657
P13 P 0.9402 0.7284 0.6382
P14 P 0.9402 0.7716 0.1382
P15 P 0.9452 0.1364 0.1343
P16 P 0.9452 0.3636 0.6343
O1 O 0.0335 0.5257 0.3248
O2 O 0.0335 0.9743 0.8248
O3 O 0.0446 0.5694 0.8012
O4 O 0.0446 0.9306 0.3012
O5 O 0.0514 0.1567 0.3784
O6 O 0.0514 0.3433 0.8784
O7 O 0.1203 0.6848 0.6826
O8 O 0.1203 0.8152 0.1826
O9 O 0.1241 0.1898 0.1388
O10 O 0.1241 0.3102 0.6388
O11 O 0.1263 0.1624 0.9386
O12 O 0.1263 0.3376 0.4386
O13 O 0.1391 0.6140 0.4508
O14 O 0.1391 0.8860 0.9508
O15 O 0.1507 0.5593 0.9676
O16 O 0.1507 0.9407 0.4676
O17 O 0.1575 0.6509 0.9987
O18 O 0.1575 0.8491 0.4987
O19 O 0.1649 0.7097 0.3262
O20 O 0.1649 0.7903 0.8262
O21 O 0.1860 0.1983 0.8067
O22 O 0.1860 0.3017 0.3067
O23 O 0.2334 0.5862 0.2191
O24 O 0.2334 0.9138 0.7191
O25 O 0.2703 0.0806 0.2792
O26 O 0.2703 0.4194 0.7792
O27 O 0.3028 0.6988 0.0144
O28 O 0.3028 0.8012 0.5144
O29 O 0.3183 0.1318 0.6997
O30 O 0.3183 0.3682 0.1997
O31 O 0.3182 0.5327 0.6621
O32 O 0.3182 0.9673 0.1621
O33 O 0.3729 0.6431 0.8069
O34 O 0.3729 0.8569 0.3069
O35 O 0.3746 0.0742 0.0483
O36 O 0.3746 0.4258 0.5483
O37 O 0.3794 0.0158 0.8599
O38 O 0.3794 0.4842 0.3599
O39 O 0.3887 0.1693 0.5698
O40 O 0.3887 0.3307 0.0698
O41 O 0.4519 0.7383 0.1932
O42 O 0.4519 0.7617 0.6932
O43 O 0.4564 0.5128 0.1311
O44 O 0.4564 0.9872 0.6311
O45 O 0.4699 0.1468 0.1793
O46 O 0.4699 0.3532 0.6793
O47 O 0.5301 0.6468 0.3207
O48 O 0.5301 0.8532 0.8207
O49 O 0.5436 0.0128 0.3689
O50 O 0.5436 0.4872 0.8689
O51 O 0.5481 0.2383 0.3068
O52 O 0.5481 0.2617 0.8068
O53 O 0.6113 0.6693 0.9302
O54 O 0.6113 0.8307 0.4302
O55 O 0.6206 0.5158 0.6401
O56 O 0.6206 0.9842 0.1401
O57 O 0.6254 0.5742 0.4517
O58 O 0.6254 0.9258 0.9517
O59 O 0.6271 0.1431 0.6931
O60 O 0.6271 0.3569 0.1931
O61 O 0.6818 0.0327 0.8379
O62 O 0.6818 0.4673 0.3379
O63 O 0.6817 0.6318 0.8003
O64 O 0.6817 0.8682 0.3003
O65 O 0.6972 0.1988 0.4856
O66 O 0.6972 0.3012 0.9856
O67 O 0.7297 0.5806 0.2208
O68 O 0.7297 0.9194 0.7208
O69 O 0.7666 0.0862 0.2809
O70 O 0.7666 0.4138 0.7809
O71 O 0.8140 0.6983 0.6933
O72 O 0.8140 0.8017 0.1933
O73 O 0.8351 0.2097 0.1738
O74 O 0.8351 0.2903 0.6738
O75 O 0.8425 0.1509 0.5013
O76 O 0.8425 0.3491 0.0013
O77 O 0.8493 0.0593 0.5324
O78 O 0.8493 0.4407 0.0324
O79 O 0.8609 0.1140 0.0492
O80 O 0.8609 0.3860 0.5492
O81 O 0.8737 0.6624 0.5614
O82 O 0.8737 0.8376 0.0614
O83 O 0.8759 0.6898 0.3612
O84 O 0.8759 0.8102 0.8612
O85 O 0.8797 0.1848 0.8174
O86 O 0.8797 0.3152 0.3174
O87 O 0.9486 0.6567 0.1216
O88 O 0.9486 0.8433 0.6216
O89 O 0.9554 0.0694 0.6988
O90 O 0.9554 0.4306 0.1988
O91 O 0.9665 0.0257 0.1752
O92 O 0.9665 0.4743 0.6752
+++
**Activity:**
The reader should start at the top of the block further above and copy each line, ending with the one that has "0.9556".
**Here it is:**
# Zn2Co4P4O23 (PBE+U, optimized geometry)
data_Zn2Co4P4O23
_cell_length_a 7.9568
_cell_length_b 12.7058
_cell_length_c 17.6384
_cell_angle_alpha 90.00
_cell_angle_beta 102.28
_cell_angle_gamma 90.00
_symmetry_space_group_name_H-M 'P 1'
_symmetry_Int_Tables_number 1
loop_
_symmetry_equiv_pos_as_xyz
'x,y,z'
loop_
_atom_site_label
_atom_site_type_symbol
_atom_site_fract_x
_atom_site_fract_y
_atom_site_fract_z
Zn1 Zn 0.2304 0.2176 0.0444
Zn2 Zn 0.2304 0.2824 0.5444
Zn3 Zn 0.2509 0.0213 0.9475
Zn4 Zn 0.2509 0.4787 0.4475
Zn5 Zn 0.7491 0.5213 0.5525
Zn6 Zn 0.7491 0.9787 0.0525
Zn7 Zn 0.7696 0.7176 0.4556
Zn8 Zn 0.7696 0.7824 0.9556